A Guide to Crepe Myrtles
Inserted here: calculated crystals >
<<<
No. 1
Computed, not measured: a crystal of FeCoPb relaxed with PBEsol at the SCAN level of DFT.

Results
Energy of formation from the pure elements in eV per atom: 0.4434
N(E_F) in states/eV per cell: 3.55
Total magnetic moment in μB/cell: 3.6

a = 4.110 Å, b = 4.110 Å, c = 4.110 Å
α = 60.00°, β = 60.00°, γ = 60.00°
Fractional coordinates of all 3 atoms:
Fe: 0.000 0.000 0.000
Co: 0.250 0.250 0.250
Pb: 0.500 0.500 0.500

***

No. 2
Computed, not measured: a crystal of Fe2CoPb relaxed with PBEsol at the SCAN level of DFT.

Results
Energy of formation from the pure elements in eV per atom: 0.5844
N(E_F) in states/eV per cell: 3.48
Total magnetic moment in μB/cell: 7.4

a = 7.997 Å, b = 7.997 Å, c = 7.997 Å
α = 21.44°, β = 21.44°, γ = 21.44°
Fractional coordinates of all 4 atoms:
Fe: 0.000 0.000 0.000
Fe: 0.260 0.260 0.260
Co: 0.522 0.522 0.522
Pb: 0.763 0.763 0.763

***

No. 3
Computed, not measured: a crystal of FeCo2Pb relaxed with PBEsol at the SCAN level of DFT.

Results
Energy of formation from the pure elements in eV per atom: 0.4419
N(E_F) in states/eV per cell: 2.78
Total magnetic moment in μB/cell: 6.3

a = 4.688 Å, b = 4.688 Å, c = 4.688 Å
α = 133.41°, β = 133.41°, γ = 68.01°
Fractional coordinates of all 4 atoms:
Fe: 0.000 0.000 0.000
Co: 0.250 0.750 0.500
Co: 0.500 0.500 0.000
Pb: 0.750 0.250 0.500
>>>
Crepe myrtles (also crape myrtles), seen by many as something between a bush and a tree, are often misunderstood and, as a result, not well cared for. Properly maintained, however, the crepe myrtle, a beautiful and hardy flowering tree, can be a striking addition to a landscape.
What comes next are calculated crystals, not part of the piece:
'''
i) Computed, not measured: LaBTeN2 after structural relaxation at the PBE level of DFT. Values from VASP.

Structure (Quantum ESPRESSO input):
```
&SYSTEM
  ibrav = 0, nat = 5, ntyp = 4
/
ATOMIC_SPECIES
N 14.01 N.upf
La 138.91 La.upf
B 10.81 B.upf
Te 127.60 Te.upf
CELL_PARAMETERS angstrom
4.2404 0.0000 0.0000
0.0000 4.2404 0.0000
0.0000 0.0000 4.4148
ATOMIC_POSITIONS angstrom
N 2.1202 0.0000 0.0000
N 0.0000 2.1202 0.0000
La 2.1202 2.1202 2.2074
B 0.0000 0.0000 0.0000
Te 0.0000 0.0000 2.2074
```

density: 6.39 g/cm3
Fermi-level density of states: 3.315 states/eV per cell

=====

ii) Computed, not measured: LaBTeN2 after structural relaxation at the PBE level of DFT. Values from VASP.

Structure (Quantum ESPRESSO input):
```
&SYSTEM
  ibrav = 0, nat = 5, ntyp = 4
/
ATOMIC_SPECIES
Te 127.60 Te.upf
B 10.81 B.upf
N 14.01 N.upf
La 138.91 La.upf
CELL_PARAMETERS angstrom
-1.6992 3.3715 -1.5232
-3.0150 -2.2334 -1.5801
-3.7557 0.8207 6.0061
ATOMIC_POSITIONS angstrom
Te -1.8779 0.4104 3.0031
B -4.2349 0.9794 1.4514
N -0.8496 1.6858 -0.7616
N -1.5075 -1.1167 -0.7900
La 0.0000 0.0000 0.0000
```

density: 4.29 g/cm3
Fermi-level density of states: 3.459 states/eV per cell

=====

Result of the stability comparison: i) is the most stable of them.

* * * * *

Here is a relaxed CsKCe2Br8 crystal from Alexandria via LeMat-Bulk. Energies are from PBE-GGA.

a = 7.992 Å, b = 7.992 Å, c = 9.001 Å
α = 90.00°, β = 90.00°, γ = 120.00°
Atoms (fractional coordinates):
Cs 0.000 0.000 0.000
K 0.000 0.000 0.500
Ce 0.333 0.667 0.415
Ce 0.667 0.333 0.585
Br 0.059 0.384 0.653
Br 0.324 0.941 0.653
Br 0.333 0.667 0.104
Br 0.384 0.324 0.347
Br 0.616 0.676 0.653
Br 0.667 0.333 0.896
Br 0.676 0.059 0.347
Br 0.941 0.616 0.347

## Properties
- ΔE_f (raw) (kJ/mol of formula units) = -2037
- space-group type = P-3
- E_tot (Ry/atom) = -0.29593
- total magnetization (Bohr magnetons per cell) = 2.00

***

Here is a relaxed TiGa2Sn4 crystal from Alexandria via LeMat-Bulk. Energies are from PBE-GGA.

a = 7.990 Å, b = 7.990 Å, c = 7.990 Å
α = 140.97°, β = 140.97°, γ = 56.39°
Atoms (fractional coordinates):
Ti 0.000 0.000 0.000
Ga 0.390 0.390 0.000
Ga 0.610 0.610 0.000
Sn 0.000 0.500 0.500
Sn 0.192 0.192 0.000
Sn 0.500 0.000 0.500
Sn 0.808 0.808 0.000

## Properties
- space-group type = I4/mmm
- energy relative to the elements (eV per atom) = 0.25
- E_tot (Ry/atom) = -0.29597
- total magnetization (Bohr magnetons per cell) = 0.00

***

Here is a relaxed TlBiMoSe2 crystal from Alexandria via LeMat-Bulk. Energies are from PBE-GGA.

a = 4.862 Å, b = 4.862 Å, c = 5.758 Å
α = 90.00°, β = 90.00°, γ = 90.00°
Atoms (fractional coordinates):
Tl 0.000 0.000 0.000
Bi 0.500 0.500 0.000
Mo 0.000 0.000 0.500
Se 0.000 0.500 0.500
Se 0.500 0.000 0.500

## Properties
- ΔE_f (raw) (kJ/mol of formula units) = 158
- space-group type = P4/mmm
- E_tot (Ry/atom) = -0.32938
- total magnetization (Bohr magnetons per cell) = 0.49

***

Q: Among the records above, which one has the highest total magnetization?
'''
The calculated crystals stop here:
Although native to South Asia, crepe myrtles have been cultivated in North America since the 18th century. Naturally a multi-stemmed bush, the crepe myrtle has been bred into many different species and subspecies, each with its own unique characteristics. The species most commonly found in North Texas is Lagerstroemia indica, which can flower in a range of colors. Left to grow, this species of crepe myrtle can reach a height of about 20 feet, with a spread of about 20 feet as well. Other varieties of crepe myrtle may exhibit different growing patterns and sizes at maturity.
The crepe myrtle is prized for its hardiness, low maintenance, and colorful blooms. Crepe myrtles can thrive in many types of soil, such as the alkaline, dark clay that is present in much of North Texas. Crepe myrtles are also drought resistant, although they can be susceptible to over-watering or poor drainage.
Aside from proper trimming and removal of dead plant matter from crevices between the trunks, crepe myrtles can often benefit from fertilization, and may need professional care when common health issues arise. Fortunately, few of the common crepe myrtle health issues pose a serious threat to the survival of the tree. Attentive pruning is often all that is required to keep a crepe myrtles healthy and vigorous for decades.
Crepe myrtles have thin bark that peels off during the year. As a result, crepe myrtles can be easily damaged by lawnmowers, line trimmers, and other activity. Planting groundcover other than turf grass around crepe myrtles as well as proper mulching can provide a buffer to help protect the trunks and roots.
While disease-resistant, the crepe myrtle is not free from pests and health issues. Crepe myrtle “topping,” or removing all growth above a certain height is a common practice and a terrible one. Crepe myrtles have thin bark that peels off during the year. As a result, crepe myrtles can be easily damaged by lawnmowers and other tools. Planting groundcover other than turf grass around crepe myrtles as well as proper mulching can provide a buffer to help protect the trunks and roots.
The crepe myrtle aphid (Tinocallis kahawaluokalani) is the most common crepe myrtle pest. This tiny insect feeds on the sap of the crepe myrtle and produces a liquid called honeydew, that can often be observed dripping from crepe myrtles in the spring. While the aphids generally pose no serious threat to the health of the plant, their honeydew can lead to the growth of sooty mold (see below). Aphids can be controlled with systemic treatments or insecticidal soaps.
While the crepe myrtle aphid has likely been present with the tree since it arrived in North America, issues with scale insects have only recently arisen in crepe myrtles. Crepe myrtle bark scale (“CMBS,” Eriococcus lagerstroemia) was first identified in Texas in 2004, and is now a common pest. CMBS is a miniscule insect that appears as a felt-like gray or white crust on crepe myrtle branches, often on the underside away from the sun. When pressed or screped, CMBS leaves behind a pinkish residue. While research is still ongoing, systemic insecticides (neonictinoids) are currently the most effective control for CMBS. Additionally, washing the affected areas with a solution of mild detergent and water can remove the insects, and slow their spread. Lady beetles (ladybugs) are a good natural control for aphids and scale. Here, the white patches are scale. Sooty mold can ruin the natural beauty of crepe myrtles and develop into a health risk.
Sooty mold is the name given to several different species of fungi that grow on the surface of some plants. When crepe myrtles have aphid or scale infestations, the honeydew produced by the insects provides nourishment for the fungal spores to grow. As the gray fungal mat expands, it can cover leaves and branches. Sooty mold is mostly just an unsightly cosmetic affliction, but in extreme cases can interfere with proper photosynthesis in the leaves. The best way to control sooty mold is to manage the underlying insect activity and honeydew production. As the mold dies, it will be washed away by rain.
Powdery mildew is another fungus (Erysiphe lagerstroemiae) that affects crepe myrtles. Unlike sooty mold, however, powdery mildew can pose a greater risk to the health of the plant. Powdery mildew appears as a grayish-white growth on young plant tissue. Only a few spores are needed, often transmitted by the wind, to take hold and begin an infestation on a crepe myrtle. Cooler temperatures and moderate to high humidity are the idea growing conditions for powdery mildew, so it is most active in the spring and fall. Overwatering, overfertilization, and poor air circulation can contribute a crepe myrtle’s susceptibility to the fungus. As the fungus spreads, it can cause new affected growth to die, with leaves curling and dropping. Extreme cases can cause extensive damage. Fortunately, there are several powdery mildew-resistant cultivars of crepe myrtle. Even without a natural resistance, powdery mildew can be managed or prevented by allowing crepe myrtles to receive full sun, by proper pruning for light and air flow, and by following best practices for watering and fertilizing. Growth that is affected by the powdery mildew fungus should be removed in the fall. Generally, systemic fungicides are not recommended for powdery mildew.